Entries >
-- begin --
Computed X-ray diffraction stick pattern of Li2Fe2Si8O19 for a wavelength of 1.5418 Å, from a structure optimized by DFT (PBE+U).

Cell and atoms:
```
data_Li2Fe2Si8O19
_space_group_name_H-M_alt 'P 1'
_space_group_IT_number 1
_cell_length_a 4.9470
_cell_length_b 7.1892
_cell_length_c 12.4576
_cell_angle_alpha 73.63
_cell_angle_beta 78.76
_cell_angle_gamma 70.20
loop_
_space_group_symop_operation_xyz
'x,y,z'
loop_
_atom_site_label
_atom_site_fract_x
_atom_site_fract_y
_atom_site_fract_z
Li1 0.0000 0.0000 0.0000
Li2 0.1937 0.8780 0.7269
Fe1 0.0735 0.4363 0.7673
Fe2 0.4600 0.4418 0.9563
Si1 0.2914 0.7556 0.2897
Si2 0.4295 0.1721 0.1926
Si3 0.5325 0.1275 0.4356
Si4 0.6768 0.1572 0.7816
Si5 0.8060 0.7248 0.9433
Si6 0.8919 0.2910 0.5319
Si7 0.9083 0.5917 0.1926
Si8 0.9909 0.7133 0.5318
O1 0.0171 0.7064 0.2630
O2 0.0638 0.5356 0.9051
O3 0.1025 0.6865 0.6511
O4 0.1360 0.3704 0.1885
O5 0.1847 0.1729 0.4626
O6 0.2374 0.7475 0.4241
O7 0.3053 0.9777 0.2135
O8 0.3522 0.1595 0.7781
O9 0.4823 0.7212 0.9461
O10 0.5854 0.5841 0.2515
O11 0.6031 0.1369 0.3010
O12 0.6182 0.3016 0.4722
O13 0.6360 0.2004 0.0748
O14 0.6943 0.9076 0.5117
O15 0.7095 0.3463 0.8205
O16 0.8659 0.9407 0.8626
O17 0.8826 0.7383 0.0653
O18 0.8848 0.1453 0.6595
O19 0.8943 0.5126 0.5356
```

The 10 most intense peaks (5 to 70 degrees two-theta), sorted by position:
d_spacing, Rel. int.
6.576, 47
5.256, 76
4.476, 100
3.469, 38
3.454, 37
3.248, 56
3.229, 51
3.088, 38
2.967, 56
2.422, 55


Computed X-ray diffraction stick pattern of LiFeSiO4 for a wavelength of 1.5418 Å, from a structure optimized by DFT (PBE+U).

Cell and atoms:
```
data_LiFeSiO4
_space_group_name_H-M_alt 'P 1'
_space_group_IT_number 1
_cell_length_a 4.9568
_cell_length_b 4.9568
_cell_length_c 6.2369
_cell_angle_alpha 90.00
_cell_angle_beta 90.00
_cell_angle_gamma 112.85
loop_
_space_group_symop_operation_xyz
'x,y,z'
loop_
_atom_site_label
_atom_site_fract_x
_atom_site_fract_y
_atom_site_fract_z
Li1 0.1702 0.8298 0.7500
Li2 0.8298 0.1702 0.2500
Fe1 0.5000 0.5000 0.0000
Fe2 0.5000 0.5000 0.5000
Si1 0.1534 0.8466 0.2500
Si2 0.8466 0.1534 0.7500
O1 0.2139 0.2675 0.7500
O2 0.2651 0.7349 0.0357
O3 0.2651 0.7349 0.4643
O4 0.2675 0.2139 0.2500
O5 0.7325 0.7861 0.7500
O6 0.7349 0.2651 0.5357
O7 0.7349 0.2651 0.9643
O8 0.7861 0.7325 0.2500
```

The 10 most intense peaks (5 to 70 degrees two-theta), sorted by position:
d_spacing, Rel. int.
4.568, 55
4.130, 26
3.685, 30
3.443, 18
2.741, 38
2.575, 100
2.460, 42
2.059, 26
1.843, 27
1.458, 39


Computed X-ray diffraction stick pattern of LiFeSiO4 for a wavelength of 1.5418 Å, from a structure optimized by DFT (PBE+U).

Cell and atoms:
```
data_LiFeSiO4
_space_group_name_H-M_alt 'P 1'
_space_group_IT_number 1
_cell_length_a 10.3857
_cell_length_b 6.7775
_cell_length_c 5.0825
_cell_angle_alpha 90.00
_cell_angle_beta 90.00
_cell_angle_gamma 90.00
loop_
_space_group_symop_operation_xyz
'x,y,z'
loop_
_atom_site_label
_atom_site_fract_x
_atom_site_fract_y
_atom_site_fract_z
Li1 0.1500 0.0069 0.0000
Li2 0.3500 0.5069 0.5000
Li3 0.6500 0.4931 0.0000
Li4 0.8500 0.9931 0.5000
Fe1 0.1690 0.5083 0.0017
Fe2 0.3310 0.0083 0.5017
Fe3 0.6690 0.9917 0.0017
Fe4 0.8310 0.4917 0.5017
Si1 0.0932 0.2656 0.5038
Si2 0.4068 0.7656 0.0038
Si3 0.5932 0.2344 0.5038
Si4 0.9068 0.7344 0.0038
O1 0.0622 0.7347 0.9434
O2 0.1207 0.2734 0.8238
O3 0.1595 0.0630 0.3863
O4 0.1680 0.4551 0.3687
O5 0.3320 0.9551 0.8687
O6 0.3405 0.5630 0.8863
O7 0.3793 0.7734 0.3238
O8 0.4378 0.2347 0.4434
O9 0.5622 0.7653 0.9434
O10 0.6207 0.2266 0.8238
O11 0.6595 0.4370 0.3863
O12 0.6680 0.0449 0.3687
O13 0.8320 0.5449 0.8687
O14 0.8405 0.9370 0.8863
O15 0.8793 0.7266 0.3238
O16 0.9378 0.2653 0.4434
```

The 10 most intense peaks (5 to 70 degrees two-theta), sorted by position:
d_spacing, Rel. int.
5.676, 57
4.122, 45
4.066, 66
3.786, 100
3.083, 41
2.838, 48
2.596, 29
2.541, 46
2.478, 47
1.893, 26
-- stop --

What to do >
Return only the lines further up with the word "most" in them, please.

Worked solution >
The 10 most intense peaks (5 to 70 degrees two-theta), sorted by position:
The 10 most intense peaks (5 to 70 degrees two-theta), sorted by position:
The 10 most intense peaks (5 to 70 degrees two-theta), sorted by position: